Listing:
********
(1)
# C55H54Cl2F2I2N2O11P2

A cluster of 3 separate species, C55H54Cl2F2I2N2O11P2 in total at a distorted geometry (the ωB97M-V functional and the def2-TZVPD basis, the OMol25 dataset).

**F_max**: 4.3 eV Å⁻¹
**Spin multiplicity**: 1
**E_tot**: -5463.4787 hartree
**Structure (SMILES)**: C/C(I)=C(\I)[C@@](CCCCOC=O)(O[C@@](CCCCl)(CO[C@@](N)(N(C(=O)F)C(=O)F)P(C)C)Cc1ccc(C)cc1)P(O)Cl.O=C1c2ccccc2C(=O)c2ccccc21.O=C1c2ccccc2C(=O)c2ccccc21
**HOMO energy**: -8.289 eV
**Orbital gap**: 7.06 eV

Element x y z (Å)
C 5.3169 -3.5378 -1.8344
C 4.6217 -2.4388 -0.9184
I 5.9143 -1.4385 0.4475
C 3.2822 -2.1946 -0.9950
I 2.2327 -3.4150 -2.4827
C 2.4233 -1.1522 -0.0961
C 3.0041 0.3007 -0.2220
C 3.3833 1.0694 1.0968
C 3.9060 2.5198 0.6482
C 2.7378 3.5199 0.3023
O 2.5643 4.5031 1.3748
C 1.7563 5.5205 0.8599
O 0.9668 6.1008 1.5576
O 1.1414 -1.2993 -0.6942
C 0.0495 -0.4496 -0.5052
C -0.1123 0.4756 -1.8333
C 0.6060 -0.1291 -3.1007
C 0.0568 0.6958 -4.3590
Cl 1.4030 1.1982 -5.4952
C -1.2352 -1.4109 -0.6729
O -2.4700 -0.7361 -0.4418
C -3.5893 -1.3595 -1.0465
N -3.4849 -2.8076 -1.2258
N -4.7677 -1.0130 -0.1528
C -4.5035 0.2448 0.5318
O -4.3335 0.3320 1.7021
F -4.4652 1.4375 -0.1753
C -5.0131 -2.0411 0.8408
O -4.2435 -2.5290 1.5881
F -6.3192 -2.5362 0.8661
P -4.0197 -0.5173 -2.7448
C -4.1790 -1.8311 -4.0900
C -5.7839 0.1786 -2.6311
C -0.1893 0.5166 0.6918
C -0.4246 0.0004 2.1336
C 0.1796 0.8159 3.2380
C 0.0676 0.4163 4.6594
C -0.6519 -0.8043 5.0852
C -0.7154 -1.2201 6.5908
C -1.2878 -1.5952 4.0099
C -1.1622 -1.1774 2.5880
P 2.2432 -1.9489 1.6302
O 3.4656 -1.5659 2.7069
Cl 2.5692 -4.0251 1.2626
H 4.8827 -4.5194 -1.4688
H 6.4146 -3.5952 -1.5682
H 5.1413 -3.3685 -2.9241
H 2.3447 1.0255 -0.7949
H 3.9288 0.2447 -0.8758
H 4.2224 0.6313 1.6905
H 2.5333 1.2633 1.8045
H 4.4683 2.9468 1.5220
H 4.6104 2.4412 -0.2331
H 1.7877 2.9568 0.1011
H 3.0529 4.1244 -0.6039
H 1.7858 5.8068 -0.2334
H -1.1903 0.6586 -2.0868
H 0.3431 1.5028 -1.6517
H 1.7252 -0.0266 -3.0451
H 0.3082 -1.1957 -3.2701
H -0.4806 1.6354 -4.0516
H -0.6688 0.0947 -4.9693
H -1.1102 -2.3723 -0.1002
H -1.2121 -1.7041 -1.7734
H -4.3906 -3.2217 -1.4924
H -2.8746 -3.0588 -2.0108
H -3.2719 -2.4946 -4.1128
H -5.0652 -2.5213 -3.9221
H -4.2565 -1.3720 -5.1196
H -6.1469 0.2120 -3.7069
H -6.4906 -0.5158 -2.0992
H -5.8074 1.2329 -2.2630
H -1.0950 1.1533 0.4322
H 0.6387 1.2895 0.7453
H 0.7760 1.7429 3.0386
H 0.5470 1.0304 5.4670
H -1.3875 -0.5454 7.1813
H -1.0323 -2.3044 6.6354
H 0.3404 -1.1880 6.9898
H -1.8510 -2.5337 4.2566
H -1.6779 -1.8262 1.8476
H 3.1031 -0.9545 3.3763
O 1.8451 8.9167 4.8570
C 1.5556 8.2311 5.8192
C 1.8925 8.6809 7.1938
C 2.5257 9.9073 7.3793
C 2.8093 10.3542 8.6618
C 2.4606 9.5792 9.7647
C 1.8453 8.3489 9.5835
C 1.5649 7.8933 8.2980
C 0.9226 6.5678 8.1149
O 0.6868 5.8582 9.0754
C 0.5678 6.1273 6.7444
C -0.0674 4.9024 6.5608
C -0.4338 4.4953 5.2851
C -0.1672 5.3107 4.1881
C 0.4790 6.5269 4.3643
C 0.8532 6.9369 5.6419
H 2.7941 10.5165 6.5241
H 3.2983 11.3112 8.8043
H 2.6715 9.9352 10.7667
H 1.5804 7.7467 10.4447
H -0.2814 4.2663 7.4120
H -0.9323 3.5422 5.1443
H -0.4617 4.9962 3.1947
H 0.6859 7.1537 3.5082
O -0.9813 -3.8672 -6.4689
C -0.9563 -5.0561 -6.7300
C -0.1865 -5.9988 -5.8813
C 0.4947 -5.5181 -4.7669
C 1.1852 -6.3958 -3.9428
C 1.1965 -7.7587 -4.2288
C 0.5333 -8.2398 -5.3491
C -0.1549 -7.3610 -6.1819
C -0.8460 -7.8828 -7.3868
O -0.7736 -9.0609 -7.6790
C -1.6323 -6.9436 -8.2245
C -2.3157 -7.4250 -9.3381
C -3.0807 -6.5614 -10.1090
C -3.1668 -5.2136 -9.7704
C -2.4759 -4.7272 -8.6696
C -1.7022 -5.5889 -7.8961
H 0.4830 -4.4583 -4.5382
H 1.7118 -6.0178 -3.0705
H 1.7253 -8.4453 -3.5778
H 0.5493 -9.3005 -5.5707
H -2.2557 -8.4742 -9.6028
H -3.6152 -6.9389 -10.9733
H -3.7724 -4.5419 -10.3681
H -2.5439 -3.6764 -8.4128


(2)
# C5H10O2

The molecule C5H10O2 at a distorted geometry (the ωB97M-V functional and the def2-TZVPD basis, the OMol25 dataset).

**F_max**: 1.2 eV Å⁻¹
**Spin multiplicity**: 1
**E_tot**: -346.8271 hartree
**HOMO energy**: -7.221 eV
********

Work order:
Please find the line earlier on that holds "(Å)", then retype that line and all lines after it there.

Written answer:
Element x y z (Å)
C 5.3169 -3.5378 -1.8344
C 4.6217 -2.4388 -0.9184
I 5.9143 -1.4385 0.4475
C 3.2822 -2.1946 -0.9950
I 2.2327 -3.4150 -2.4827
C 2.4233 -1.1522 -0.0961
C 3.0041 0.3007 -0.2220
C 3.3833 1.0694 1.0968
C 3.9060 2.5198 0.6482
C 2.7378 3.5199 0.3023
O 2.5643 4.5031 1.3748
C 1.7563 5.5205 0.8599
O 0.9668 6.1008 1.5576
O 1.1414 -1.2993 -0.6942
C 0.0495 -0.4496 -0.5052
C -0.1123 0.4756 -1.8333
C 0.6060 -0.1291 -3.1007
C 0.0568 0.6958 -4.3590
Cl 1.4030 1.1982 -5.4952
C -1.2352 -1.4109 -0.6729
O -2.4700 -0.7361 -0.4418
C -3.5893 -1.3595 -1.0465
N -3.4849 -2.8076 -1.2258
N -4.7677 -1.0130 -0.1528
C -4.5035 0.2448 0.5318
O -4.3335 0.3320 1.7021
F -4.4652 1.4375 -0.1753
C -5.0131 -2.0411 0.8408
O -4.2435 -2.5290 1.5881
F -6.3192 -2.5362 0.8661
P -4.0197 -0.5173 -2.7448
C -4.1790 -1.8311 -4.0900
C -5.7839 0.1786 -2.6311
C -0.1893 0.5166 0.6918
C -0.4246 0.0004 2.1336
C 0.1796 0.8159 3.2380
C 0.0676 0.4163 4.6594
C -0.6519 -0.8043 5.0852
C -0.7154 -1.2201 6.5908
C -1.2878 -1.5952 4.0099
C -1.1622 -1.1774 2.5880
P 2.2432 -1.9489 1.6302
O 3.4656 -1.5659 2.7069
Cl 2.5692 -4.0251 1.2626
H 4.8827 -4.5194 -1.4688
H 6.4146 -3.5952 -1.5682
H 5.1413 -3.3685 -2.9241
H 2.3447 1.0255 -0.7949
H 3.9288 0.2447 -0.8758
H 4.2224 0.6313 1.6905
H 2.5333 1.2633 1.8045
H 4.4683 2.9468 1.5220
H 4.6104 2.4412 -0.2331
H 1.7877 2.9568 0.1011
H 3.0529 4.1244 -0.6039
H 1.7858 5.8068 -0.2334
H -1.1903 0.6586 -2.0868
H 0.3431 1.5028 -1.6517
H 1.7252 -0.0266 -3.0451
H 0.3082 -1.1957 -3.2701
H -0.4806 1.6354 -4.0516
H -0.6688 0.0947 -4.9693
H -1.1102 -2.3723 -0.1002
H -1.2121 -1.7041 -1.7734
H -4.3906 -3.2217 -1.4924
H -2.8746 -3.0588 -2.0108
H -3.2719 -2.4946 -4.1128
H -5.0652 -2.5213 -3.9221
H -4.2565 -1.3720 -5.1196
H -6.1469 0.2120 -3.7069
H -6.4906 -0.5158 -2.0992
H -5.8074 1.2329 -2.2630
H -1.0950 1.1533 0.4322
H 0.6387 1.2895 0.7453
H 0.7760 1.7429 3.0386
H 0.5470 1.0304 5.4670
H -1.3875 -0.5454 7.1813
H -1.0323 -2.3044 6.6354
H 0.3404 -1.1880 6.9898
H -1.8510 -2.5337 4.2566
H -1.6779 -1.8262 1.8476
H 3.1031 -0.9545 3.3763
O 1.8451 8.9167 4.8570
C 1.5556 8.2311 5.8192
C 1.8925 8.6809 7.1938
C 2.5257 9.9073 7.3793
C 2.8093 10.3542 8.6618
C 2.4606 9.5792 9.7647
C 1.8453 8.3489 9.5835
C 1.5649 7.8933 8.2980
C 0.9226 6.5678 8.1149
O 0.6868 5.8582 9.0754
C 0.5678 6.1273 6.7444
C -0.0674 4.9024 6.5608
C -0.4338 4.4953 5.2851
C -0.1672 5.3107 4.1881
C 0.4790 6.5269 4.3643
C 0.8532 6.9369 5.6419
H 2.7941 10.5165 6.5241
H 3.2983 11.3112 8.8043
H 2.6715 9.9352 10.7667
H 1.5804 7.7467 10.4447
H -0.2814 4.2663 7.4120
H -0.9323 3.5422 5.1443
H -0.4617 4.9962 3.1947
H 0.6859 7.1537 3.5082
O -0.9813 -3.8672 -6.4689
C -0.9563 -5.0561 -6.7300
C -0.1865 -5.9988 -5.8813
C 0.4947 -5.5181 -4.7669
C 1.1852 -6.3958 -3.9428
C 1.1965 -7.7587 -4.2288
C 0.5333 -8.2398 -5.3491
C -0.1549 -7.3610 -6.1819
C -0.8460 -7.8828 -7.3868
O -0.7736 -9.0609 -7.6790
C -1.6323 -6.9436 -8.2245
C -2.3157 -7.4250 -9.3381
C -3.0807 -6.5614 -10.1090
C -3.1668 -5.2136 -9.7704
C -2.4759 -4.7272 -8.6696
C -1.7022 -5.5889 -7.8961
H 0.4830 -4.4583 -4.5382
H 1.7118 -6.0178 -3.0705
H 1.7253 -8.4453 -3.5778
H 0.5493 -9.3005 -5.5707
H -2.2557 -8.4742 -9.6028
H -3.6152 -6.9389 -10.9733
H -3.7724 -4.5419 -10.3681
H -2.5439 -3.6764 -8.4128


(2)
# C5H10O2

The molecule C5H10O2 at a distorted geometry (the ωB97M-V functional and the def2-TZVPD basis, the OMol25 dataset).

**F_max**: 1.2 eV Å⁻¹
**Spin multiplicity**: 1
**E_tot**: -346.8271 hartree
**HOMO energy**: -7.221 eV